Given:
+++
# 1
KAl2P2H5O11 | PBE | relaxed

Cell lengths 9.5882, 9.5894, 11.9152 Å; angles 90.00, 128.23, 90.00 degrees
Space group P2_1/c (No. 14)
Symmetry-distinct sites (fractional):
K 0.1197 0.2034 0.0980
Al 0.2081 0.7252 0.8099
Al 0.4816 0.0436 0.8715
P 0.1485 0.0271 0.8521
P 0.3415 0.6857 0.1325
H 0.1457 0.1325 0.3782
H 0.3036 0.0794 0.5358
H 0.3389 0.0195 0.3940
H 0.4207 0.5335 0.8142
H 0.4547 0.1998 0.0230
O 0.0019 0.6221 0.6840
O 0.0700 0.6188 0.2823
O 0.2131 0.7299 0.1621
O 0.2330 0.6704 0.9702
O 0.2466 0.0869 0.7969
O 0.2761 0.1391 0.4569
O 0.2784 0.0111 0.0177
O 0.3522 0.5616 0.8475
O 0.4224 0.5392 0.2024
O 0.4454 0.6364 0.4440
O 0.4978 0.7119 0.6954

# 2
Nd3AlSi5N10O | PBE | relaxed

Cell lengths 4.9303, 10.2101, 10.2001 Å; angles 90.00, 90.25, 90.00 degrees
Space group Pc (No. 7)
Symmetry-distinct sites (fractional):
Nd 0.0000 0.0579 0.0000
Nd 0.0140 0.4328 0.6210
Nd 0.9950 0.2509 0.3160
Al 0.5473 0.1800 0.5289
Si 0.0580 0.1311 0.6973
Si 0.0623 0.3648 0.9319
Si 0.5523 0.3248 0.1023
Si 0.5523 0.4672 0.3844
Si 0.5556 0.0388 0.2410
N 0.1731 0.1887 0.5507
N 0.2005 0.4899 0.3802
N 0.2017 0.3206 0.0796
N 0.2049 0.0153 0.2425
N 0.6619 0.4314 0.2268
N 0.6632 0.1681 0.1377
N 0.6650 0.3452 0.4867
N 0.6713 0.0732 0.3947
N 0.7167 0.3914 0.9590
N 0.7190 0.0981 0.6738
O 0.0903 0.2478 0.8160

Summary:
**E above lowest polymorph**: 2.9 meV per atom

# 3
UMn3 | PBE | relaxed

Cell lengths 3.7994, 3.7994, 7.5259 Å; angles 90.00, 90.00, 90.00 degrees
Space group I4/mmm (No. 139)
Symmetry-distinct sites (fractional):
U 0.0000 0.0000 0.0000
Mn 0.0000 0.0000 0.5000
Mn 0.0000 0.5000 0.2500

# 4
GeMo3 | PBE | relaxed

Cell lengths 4.9718, 4.9718, 4.9718 Å; angles 90.00, 90.00, 90.00 degrees
Space group Pm-3n (No. 223)
Symmetry-distinct sites (fractional):
Ge 0.0000 0.0000 0.0000
Mo 0.0000 0.2500 0.5000

# 5
Na2Nb2P6O21 | PBE | relaxed

Cell lengths 9.2219, 9.2219, 12.8205 Å; angles 90.00, 90.00, 120.00 degrees
Space group P6_3/m (No. 176)
Symmetry-distinct sites (fractional):
Na 0.0000 0.0000 0.0000
Na 0.0000 0.0000 0.2500
Nb 0.3333 0.6667 0.0256
P 0.0221 0.3612 0.6347
O 0.0424 0.2122 0.6264
O 0.0623 0.4428 0.7500
O 0.1430 0.5116 0.5660
O 0.1603 0.6760 0.1126

# 6
Na2UF8 | PBE | relaxed

Cell lengths 5.5434, 5.5434, 10.6576 Å; angles 90.00, 90.00, 90.00 degrees
Space group I4/mmm (No. 139)
Symmetry-distinct sites (fractional):
Na 0.0000 0.5000 0.2500
U 0.0000 0.0000 0.0000
F 0.2214 0.2214 0.1170

# 7
AgBiO2 | PBE | relaxed

Cell lengths 3.6848, 3.6848, 12.8986 Å; angles 90.00, 90.00, 120.00 degrees
Space group P6_3/mmc (No. 194)
Symmetry-distinct sites (fractional):
Ag 0.3333 0.6667 0.2500
Bi 0.0000 0.0000 0.0000
O 0.3333 0.6667 0.0879

# 8
ErFe6Ge6 | PBE | relaxed

Cell lengths 5.1048, 8.1120, 26.4865 Å; angles 90.00, 90.00, 90.00 degrees
Space group Immm (No. 71)
Symmetry-distinct sites (fractional):
Er 0.0000 0.0000 0.0000
Er 0.0000 0.5000 0.3326
Fe 0.0000 0.2514 0.5000
Fe 0.0000 0.2518 0.1667
Fe 0.2498 0.2486 0.0832
Fe 0.2500 0.2500 0.2500
Ge 0.0000 0.0000 0.1120
Ge 0.0000 0.0000 0.2226
Ge 0.0000 0.0000 0.4444
Ge 0.0000 0.1536 0.3334
Ge 0.0000 0.3455 0.0000
Ge 0.0000 0.5000 0.1105
Ge 0.0000 0.5000 0.2211
Ge 0.0000 0.5000 0.4444

These records have total energy values of -6.38 -8.07 -9.55 -9.44 -7.44 -5.77 -4.92 -6.67 eV per atom, in the order they appear.
These records have calculated formation energy values of -2.415 -1.433 0.143 -0.150 -2.771 -3.445 -1.108 -0.279 eV per atom, in the order they appear.
These records have ρ values of 2.59 4.89 12.31 9.74 2.65 4.42 7.64 8.52 Mg/m³, in the order they appear.
+++

To do:
Say how many lines of the material above hold the word "calculated", as a bare number.

Reply:
1